Lifestyle Love Life

Oh hey, Courage.

By on November 19, 2015

== Data records, as found in the file ==
<<<
(1)
Formula: C5H10O2
Source: the Open Molecules 2025 dataset
Level of theory: wB97M-V/def2-TZVPD

Element x y z (Å)
C  -0.68377  -1.68611  0.22630
C  -0.63133  -0.60872  1.01839
C  0.39614  0.42923  1.11935
C  1.72871  0.21260  1.38086
C  2.54830  1.41557  1.74722
O  2.25324  -1.03750  1.12852
H  -1.54005  -2.01866  -0.29950
H  -0.11345  -2.50488  0.67636
H  -1.46351  -0.18400  1.52865
H  0.20123  1.47758  0.89439
H  1.83211  2.29508  1.97535
H  3.27606  1.78716  1.09506
H  3.07283  1.10966  2.79033
H  2.30253  -1.46895  1.97579
O  -4.73186  0.09439  -5.72452
H  -3.82976  -0.36729  -5.67355
H  -4.61743  1.05483  -5.85903

Properties
SMILES string: C=C/C=C(/C)O.O
E, Eh: -346.824221
Spin multiplicity: 1
E_LUMO, eV: 0.3635
ΔE to the lowest compared entry with this formula, charge and spin, kJ/mol: 528.28


(2)
Formula: C5H10O2
Source: the Open Molecules 2025 dataset
Level of theory: wB97M-V/def2-TZVPD

Element x y z (Å)
C  -2.28007  -0.64387  -0.47015
C  -1.21070  0.43946  -0.57229
C  -0.09819  0.23278  0.43432
C  1.17215  1.08312  0.27376
C  1.86979  -0.25966  0.06270
O  2.73305  -0.56971  1.11391
O  0.64272  -0.97756  0.14157
H  -3.04700  -0.51765  -1.24088
H  -1.82702  -1.63280  -0.59346
H  -2.77655  -0.61856  0.50714
H  -0.76122  0.43238  -1.57394
H  -1.65002  1.43482  -0.42369
H  -0.49478  0.19567  1.45871
H  1.52013  1.61528  1.16099
H  1.16380  1.74553  -0.59619
H  2.35390  -0.42966  -0.91070
H  2.69002  -1.52955  1.22818

Properties
SMILES string: CC[C@@H]1C[C@@H](O)O1
E, Eh: -346.964238
Spin multiplicity: 1
E_LUMO, eV: 1.0389
ΔE to the lowest compared entry with this formula, charge and spin, kJ/mol: 160.66


(3)
Formula: C5H10O2
Source: the Open Molecules 2025 dataset
Level of theory: wB97M-V/def2-TZVPD

Element x y z (Å)
C  1.82260  1.32793  -0.00212
O  0.59876  0.94687  -0.57476
C  0.30816  -0.41676  -0.69206
C  0.50652  -1.34473  0.51976
O  -0.88570  -1.66540  0.56031
C  -1.19604  -0.70826  -0.47400
C  -2.00791  0.46122  0.05048
H  2.09449  0.69988  0.85517
H  2.65122  1.31545  -0.72211
H  1.68174  2.35068  0.35720
H  0.71467  -0.83020  -1.62547
H  0.84135  -0.84757  1.43920
H  1.12927  -2.22973  0.34485
H  -1.69997  -1.20653  -1.31427
H  -2.55792  0.95360  -0.75745
H  -2.71836  0.09806  0.79771
H  -1.35771  1.20534  0.51995

Properties
SMILES string: CO[C@H]1CO[C@H]1C
E, Eh: -346.926454
Spin multiplicity: 1
E_LUMO, eV: 0.9926
ΔE to the lowest compared entry with this formula, charge and spin, kJ/mol: 259.87


(4)
Formula: C5H10O2
Source: the Open Molecules 2025 dataset
Level of theory: wB97M-V/def2-TZVPD

Element x y z (Å)
C  -2.01663  1.65177  -2.34261
C  -1.81939  0.82993  -1.13529
C  -0.87269  0.83308  -0.17323
C  -0.25095  -0.38457  0.36210
C  0.46013  -0.33700  1.47478
O  0.84400  -1.45488  2.19302
H  -2.99568  1.50157  -2.81009
H  -1.25696  1.66659  -3.12268
H  -2.09263  2.71924  -2.01231
H  -2.30226  -0.16282  -1.18041
H  -0.68222  1.78853  0.31703
H  -0.43282  -1.29853  -0.20057
H  0.89334  0.54979  1.92389
>>>

I watched a group of  young people protesting this week. They staged a sit-in in a very public place and began to speak with boldness about the issues they were facing. They were there for hours.  The leaders spoke with ardor and resolve– and they were fearless.  Some stood on tables and some sat quietly holding hands, yet all displayed a resolute unity that resonated with protests past. They demanded to be heard and refused to leave until the highest local authority was forced to give ear. It was a truly magnificent display that I found both inspiring and convicting.

As I left the protest, I found myself pondering the magnitude of what I had just seen.  Watching these individuals brought an uneasy feeling to my gut that, at first, I could not place.  Then it hit me. The feeling was like running into an once-very-close yet now distant friend. Someone that I thought I would always be close with, but had lost touch with through changing seasons of life. That someone was a more passionate, more courageous… me.

I remember as a young man feeling as though I could do anything. If I saw a fence I would jump it with out a thought. I tried to pick up cars. I jumped off rooftops. I never backed down from a fight. I even joked that I would fight Mike Tyson for the right amount of money.  When I recommitted myself to God, I shared my faith boldly. I strived to live passionately for God despite my weaknesses and flaws (and they were many).

I never thought through most of those things I just acted or reacted. Whatever the result, good or bad, I was willing to jump in. It was the opportunity to apply courage that excited me and drove me forward. Yet somewhere along the way that changed. I don’t remember when or where it happened. I just know it did.

So what happens to the passion and courage that is so often associated with youth? Do those attributes emerge only to push us forward through the tempestuousness of youth and young adulthood? Then, having served that purpose, do courage and passion lie dormant only to resurface when we become old enough to no longer care what people think?  Or do we get older and wiser and more able to assess the risk of the actions we take? Or is it that we just get scared? While the answers are different for every one, I suspect these are the questions we must ask ourselves..

Nevertheless, however we got here, one thing rings clear–We must return to courage. Our world needs it and our faith requires it.


My favorite definition of courage explains it this way: Courage is not the absence of fear but the is the ability to act despite your fears. It’s the pushing past the hesitation for something bigger than the moment itself. The opportunities to act courageously are still there but now they require more than impulse. Courage requires a choice and a decision to act.

Look around you in your daily life.  What will it take for you to stand up for what you believe in on your job.  What will it take for you to stop going with the flow of mediocrity. Where are those areas that require courage in our lives today?

Misplaced data records.
~~~
1.
# C17H48ClN18O14P

A 10-piece molecular cluster, C17H48ClN18O14P overall in a non-equilibrium geometry (ωB97M-V with the def2-TZVPD basis set, OMol25).

ORCA input file:
```
! RIJCOSX wB97M-V def2-TZVPD def2/J DEFGRID3
* xyz 0 1
C -1.084 -0.667 4.949
C -0.916 0.548 4.065
O -0.388 1.544 4.472
O -1.435 0.433 2.805
C -0.543 0.827 1.762
C -0.052 -0.353 0.868
P 0.007 -0.048 -0.977
C -1.686 0.350 -1.557
C 1.043 1.434 -1.330
O -0.910 -1.481 1.211
C -0.248 -2.273 2.132
O -0.588 -3.338 2.506
O 0.868 -1.575 2.544
C 1.262 -1.022 1.269
Cl 2.739 -0.111 1.249
H -1.623 -1.479 4.461
H -0.106 -1.020 5.271
H -1.645 -0.401 5.846
H -1.101 1.509 1.119
H 0.295 1.403 2.160
H -2.184 1.150 -1.009
H -2.309 -0.543 -1.605
H -1.560 0.703 -2.582
H 1.769 1.155 -2.092
H 1.612 1.813 -0.481
H 0.433 2.251 -1.716
H 1.350 -1.902 0.624
C 5.416 2.643 -0.253
O 4.461 2.962 -0.943
N 5.471 1.453 0.413
N 6.506 3.454 -0.093
H 6.239 1.167 0.990
H 4.683 0.842 0.310
H 6.494 4.336 -0.569
H 7.299 3.213 0.469
C -1.389 4.600 -1.993
O -1.641 3.400 -2.000
N -0.123 5.087 -1.790
N -2.350 5.542 -2.187
H 0.110 6.065 -1.799
H 0.614 4.422 -1.642
H -3.292 5.221 -2.362
H -2.167 6.528 -2.199
C -1.081 7.981 1.042
O -0.114 8.472 0.481
N -1.660 8.551 2.141
N -1.655 6.824 0.603
H -2.453 8.163 2.615
H -1.256 9.403 2.482
H -1.240 6.394 -0.193
H -2.450 6.392 1.032
C 4.120 -4.474 1.403
O 5.173 -3.973 1.033
N 3.378 -3.919 2.413
N 3.608 -5.609 0.854
H 2.516 -4.303 2.750
H 3.734 -3.080 2.834
H 4.125 -6.050 0.108
H 2.744 -6.018 1.151
C 5.299 -3.457 6.031
O 4.900 -2.351 5.710
N 5.715 -4.378 5.114
N 5.356 -3.863 7.338
H 6.042 -5.294 5.351
H 5.681 -4.104 4.148
H 5.055 -3.208 8.034
H 5.680 -4.767 7.625
C -1.249 -4.385 -1.287
O -0.196 -3.945 -1.714
N -1.942 -3.788 -0.279
N -1.815 -5.531 -1.792
H -2.801 -4.152 0.087
H -1.560 -2.938 0.122
H -1.327 -5.993 -2.534
H -2.678 -5.916 -1.460
C 4.928 -8.596 -1.710
O 4.850 -7.663 -0.929
N 6.079 -9.311 -1.874
N 3.873 -8.996 -2.480
H 6.169 -10.080 -2.510
H 6.871 -9.037 -1.323
H 3.016 -8.485 -2.383
H 3.917 -9.758 -3.129
C -4.738 3.959 -4.823
O -4.741 4.927 -4.077
N -3.589 3.276 -5.113
N -5.868 3.483 -5.417
H -3.556 2.478 -5.717
H -2.743 3.593 -4.676
H -6.738 3.955 -5.221
H -5.871 2.691 -6.029
C -9.464 3.614 -3.465
O -8.478 4.107 -3.982
N -10.092 4.193 -2.400
N -10.020 2.445 -3.906
H -10.903 3.809 -1.956
H -9.705 5.051 -2.053
H -9.582 1.994 -4.685
H -10.830 2.025 -3.492
*
```

Highest occupied orbital energy (hartree): -0.283
E (a.u.): -3517.4456
F_max (Eh/bohr): 0.03942
LUMO energy (eV): 0.58

---

2.
# C17H48InN4O3

C17H48InN4O3 as an isolated structure in a non-equilibrium geometry (ωB97M-V with the def2-TZVPD basis set, OMol25).

ORCA input file:
```
! RIJCOSX wB97M-V def2-TZVPD def2/J DEFGRID3
* xyz -1 1
N 3.120 -0.130 -1.209
C 1.664 -0.381 -1.107
C 0.876 0.832 -0.541
C -0.044 0.499 0.656
C -1.495 0.153 0.277
C -1.652 -1.051 -0.703
In -3.110 -0.622 -2.402
H 3.550 -0.666 -0.465
H 3.423 -0.596 -2.053
H 1.230 -0.644 -2.077
H 1.470 -1.221 -0.422
H 0.350 1.393 -1.321
~~~

Be Blessed,


Questions for consideration:

What are the barriers to acting with courage?

What are you biggest fears and how have they held you back?

What fears are you willing to confront this week and how will you do it?

Are there certain areas where you struggle with courage?

What is one courageous act that you can do this week?

Share your thoughts and responses below and let the discussion begin!


November 19, 2015